Personal Page

Jihan Kim (김지한)

**Attached: molecular data**
~~~
229
Properties=species:S:1:pos:R:3:forces:R:3 method="wB97M-V/def2-TZVPD" charge=0 smiles=COC[C@H](C)N.COC[C@H](C)N.COC[C@H](C)N.COC[C@H](C)N.COC[C@H](C)N.COCCNCCOC.COCCNCCOC.COCCNCCOC.COCCNCCOC.COCCNCCOC.COCCNCCOC lumo_ev=0.57 homo_lumo_gap_ev=8.6767 energy_ha=-4101.50224 e_homo_ev=-8.107 de_lowest_kj_mol=529.0
C 4.620491 -4.799415 4.226329 -1.58 0.54 0.22
O 3.807781 -4.672325 3.032719 0.33 -1.90 0.42
C 3.473221 -6.009385 2.527229 1.19 0.50 -0.31
C 2.406531 -5.989035 1.474269 0.24 0.22 -0.23
N 1.134421 -5.508255 1.936979 -0.52 -0.03 0.06
C 0.141261 -5.548055 0.849689 -0.02 0.19 0.62
C -1.227849 -5.007425 1.365399 1.35 -0.98 -1.39
O -2.152009 -5.183095 0.289099 -1.48 0.63 0.76
C -3.512779 -4.735155 0.653479 1.11 -0.41 -0.10
H 4.748911 -3.779415 4.588579 0.31 -0.09 -0.06
H 5.564561 -5.344135 4.215749 0.21 0.10 -0.97
H 4.026531 -5.325785 4.973489 -0.15 -0.02 0.20
H 3.279741 -6.775295 3.278259 -0.36 0.50 0.65
H 4.374671 -6.365525 2.028559 0.29 -0.14 -0.15
H 2.317271 -6.991935 1.056739 0.02 -0.09 -0.01
H 2.732541 -5.303925 0.691689 0.45 -0.14 -0.59
H 1.381721 -4.544195 2.108809 -0.68 0.49 0.49
H 0.100751 -6.562475 0.452939 -0.45 -0.26 0.40
H 0.508971 -4.992895 -0.013271 -0.18 0.59 -0.23
H -1.048539 -3.960345 1.609499 -0.46 0.25 0.15
H -1.492069 -5.582865 2.252619 -0.26 0.09 0.08
H -4.156399 -4.711695 -0.225901 0.45 0.06 -0.26
H -3.451529 -3.746685 1.108769 -0.12 0.05 0.04
H -4.001129 -5.432245 1.334419 0.30 -0.11 0.29
C 4.172941 -0.283565 4.128609 -0.24 1.28 0.91
O 4.717701 0.329605 2.950609 -0.15 -1.31 0.20
C 4.757941 1.728315 3.003069 0.44 1.86 -0.28
C 5.624831 2.341905 1.837869 0.02 -0.85 1.36
N 4.890321 2.515855 0.631149 -0.76 -0.56 -0.85
C 5.693811 3.055475 -0.434151 0.73 0.23 -0.80
C 4.974211 2.942365 -1.785871 -0.51 1.47 1.40
O 5.651751 3.615365 -2.805511 0.69 -0.36 -0.79
C 4.975081 3.511135 -4.039491 0.96 0.49 -0.77
H 3.992891 -1.358075 4.162069 0.31 0.00 -1.19
H 3.233201 0.193135 4.407449 -0.31 0.01 -0.31
H 4.787961 -0.085015 5.006349 0.58 0.13 -0.05
H 5.113971 2.098455 3.964489 0.65 -0.31 0.26
H 3.778641 2.205665 2.968389 -0.60 -0.36 -0.40
H 6.437631 1.630625 1.691109 0.53 -0.19 0.05
H 6.096691 3.292055 2.088169 -0.18 0.08 0.53
H 4.730841 1.572775 0.306709 -0.74 -0.39 -0.18
H 6.627701 2.503875 -0.542311 0.56 -0.05 0.10
H 5.950111 4.090445 -0.207751 0.02 0.19 -0.18
H 4.120101 3.609405 -1.669091 -1.18 -0.93 0.27
H 4.773261 1.890875 -1.991021 -0.34 -0.05 -0.24
H 5.473321 4.212025 -4.709271 0.06 0.07 0.00
H 3.919931 3.782485 -4.073161 -0.22 -0.01 0.70
H 5.092941 2.536205 -4.512481 -0.06 -0.38 0.24
C -1.351169 -2.818595 -8.963061 0.76 0.21 -1.13
O 0.073121 -2.752535 -8.808471 -0.44 0.84 1.62
C 0.476891 -2.246435 -7.485601 0.72 -1.55 -0.49
C 1.933891 -1.856545 -7.617111 0.76 1.35 -1.39
N 2.506881 -0.985515 -6.605191 -0.80 -0.20 0.35
C 2.608831 -1.740915 -5.341081 -0.52 2.35 -1.29
C 3.355551 -0.882755 -4.327011 -0.87 -0.64 1.07
O 2.527371 0.015695 -3.538271 0.48 -0.71 -0.38
C 2.100261 1.183725 -4.214371 0.44 -0.04 -0.47
~~~

Name: Jihan Kim (김지한)
Region: Republic of Korea
Competitions: 13
WCA ID: Jihan Kim (김지한)2022KIMJ10
Gender: Male
Career: 2022.07.23 - 2024.12.14
2024 Annual Summary

Current Personal Records

3x3x3 Cube783144073912812.8514.90346391298670655/55
2x2x2 Cube3576634245983.164.5818710535133355/55
4x4x4 Cube42371652067054.331:05.3522899780947035/35
5x5x5 Cube4066268212092:22.252:39.0419081564540615/17

Sum of Ranks

Data records, kept here for reference
Record 1
# C2H7BrSi

The molecule C2H7BrSi (ωB97M-V/def2-TZVPD, OMol25).

Structure (XYZ):
```
11
Properties=species:S:1:pos:R:3:forces:R:3
C 0.066131 -1.430405 -0.154504 1.21 0.77 0.97
C -0.517259 -0.091004 0.441070 0.11 -1.55 -1.91
Si 0.410270 1.477035 -0.103451 1.33 0.57 0.01
Br -2.430392 0.003256 -0.091764 0.40 0.11 0.18
H 0.243280 -1.482630 -1.186083 -0.16 0.72 -1.81
H 1.069064 -1.710751 0.214066 -0.21 0.72 0.48
H -0.486130 -2.310950 0.029018 -1.29 -0.65 0.67
H -0.527896 -0.273684 1.477228 -0.17 0.31 1.38
H 0.779428 2.468733 0.999385 -0.06 -0.94 -0.17
H 1.761032 0.866176 -0.701116 -1.44 0.91 0.38
H -0.367526 2.484220 -0.923853 0.28 -0.97 -0.18
```
Positions in Å, forces in eV/Å.

Results
HOMO level   -10.07 eV
SMILES   C[C@@H]([SiH3])Br



Record 2
# C2H7BNO5P

The ion C2H7BNO5P with charge -2 (ωB97M-V/def2-TZVPD, OMol25).

Structure (XYZ):
```
17
Properties=species:S:1:pos:R:3:forces:R:3
B 0.089872 0.224951 -0.081580 -0.83 -2.97 2.74
C 0.699908 -1.072783 0.834279 -1.50 2.50 -2.63
C -1.485925 0.342910 0.111130 -0.42 -0.60 4.55
N 1.044769 1.217157 -0.436705 -0.35 1.63 0.89
O -2.333602 -1.353451 -2.982752 0.11 1.29 0.12
O -2.187640 1.263154 -2.618210 -0.17 -0.47 0.38
O -0.191001 -0.068673 -3.500739 0.35 0.20 0.09
O -2.223428 1.478412 -0.060981 -0.09 -0.33 -2.76
O -1.023605 -0.346258 -1.018465 -0.19 -0.78 -1.70
P -1.497895 -0.098427 -2.779797 -0.41 -1.43 -0.31
H 0.022897 -1.819451 1.027549 -2.23 -1.64 0.56
H 1.128845 -0.786193 1.705459 0.96 1.50 3.23
H 1.476640 -1.587098 0.430736 2.69 -1.56 -2.11
H -2.156093 -0.395640 0.997471 1.82 1.31 -2.47
H 1.756034 0.925251 -1.047768 0.76 -0.03 -1.02
H 0.655525 2.130707 -0.618633 0.21 -0.05 -0.53
H -2.254206 1.380866 -1.164182 -0.71 1.42 0.97
```
Positions in Å, forces in eV/Å.

Results
Total charge   -2
HOMO level   -0.18 eV



Record 3
# C42H41IrNO3P2S

A structure of composition C42H41IrNO3P2S (ωB97M-V/def2-TZVPD, OMol25).

Structure (XYZ):
```
91
Properties=species:S:1:pos:R:3:forces:R:3
Ir 0.005881 0.368964 -1.593726 -0.04 0.26 3.13
C -1.979525 1.074413 -5.004506 -1.17 -0.40 -0.02
C -1.997645 -0.279660 -5.033819 -1.77 0.60 -1.82
C -1.543337 -1.037773 -6.267915 -0.06 -0.23 0.01
C -0.093814 -0.769101 -6.757689 0.02 -0.66 -0.27
C 0.828311 -0.244695 -5.697758 0.17 -1.85 -1.60
C 0.703065 0.966059 -5.131515 0.22 2.32 0.53
C 0.100972 2.154236 -5.819989 -0.06 0.60 0.03
C -1.406007 1.939210 -6.075127 0.42 -0.04 -0.50
C 1.472694 0.398325 -0.033611 0.64 0.33 1.21
H -2.545310 1.640278 -4.268417 0.18 -0.44 -0.11
H -2.831439 -0.822841 -4.531270 0.89 0.53 -0.08
H -2.238141 -0.790197 -7.097426 0.29 -0.10 0.42
H -1.671870 -2.121030 -6.105779 0.16 0.39 0.02
H 0.314085 -1.713915 -7.145415 -0.06 0.34 0.12
H -0.128676 -0.103983 -7.638467 0.21 0.14 0.45
H 1.738228 -0.845770 -5.590200 -0.25 0.37 0.41
H 1.161016 1.254671 -4.180499 -0.08 -0.41 -0.70
H 0.640566 2.359157 -6.763941 -0.18 -0.13 0.33
H 0.242908 3.034007 -5.169150 0.02 -0.37 -0.25
H -1.924046 2.906257 -6.107432 0.22 -0.23 0.11

 Sum of NRNRSum of CRCRSum of WRWR
3x3x3 Cube
Seoul Winter 2024First round121 14.80 16.97
15.99     20.28     14.80     19.11     15.80
Korean Championship 2024First round151 12.85 18.06
22.12     19.42     12.85     16.38     18.37
Seoul Open 2024Second round114 15.27 16.48
16.39     16.80     22.19     16.24     15.27
First round113 15.33 17.18
15.33     15.43     18.34     17.76     19.04
Korean Championship 2023First round96 14.31 14.90
16.35     14.36     15.55     14.78     14.31
WCA World Championship 2023First round877 14.05 17.83
19.12     16.09     18.27     14.05     19.31
Seoul Spring 2023First round102 15.01 16.48
16.38     19.68     17.50     15.01     15.56
KAIST Fall 2022First round81 16.02 19.35
19.12     16.02     20.06     18.88     23.35
Daegu Hot Autumn 2022First round65 18.18 19.52
19.25     18.18     19.80     19.51     21.61
Korean Championship 2022First round122 19.92 22.81
19.92     28.33     22.56     24.52     21.36
Seoul Summer 2022First round159 23.05 25.93
23.51     23.05     25.55     28.72     32.08
2x2x2 Cube
Seoul Winter 2024First round67 4.38 4.99
4.71      4.38      4.55      12.01     5.72
Korean Championship 2024First round101 4.78 5.87
4.93      7.86      4.78      8.99      4.83
Prime Cubing Day Seoul 2024First round53 4.16 5.20
6.61      5.50      4.16      4.40      5.69
Korean Championship 2023Second round49 4.62 5.31
9.20      4.68      6.00      4.62      5.24
First round42 4.36 4.58
4.69      4.47      4.58      4.91      4.36
Ansan Autumn 2023First round35 3.16 4.82
5.24      4.86      3.16      4.65      4.95
WCA World Championship 2023First round586 5.10 6.44
5.24      5.58      8.49      5.10      9.78
Seoul Spring 2023Final55 3.92 5.07
4.63      4.11      7.50      6.47      3.92
Daegu Hot Autumn 2022Final37 3.62 5.77
3.62      5.73      4.18      7.41      8.32
Korean Championship 2022First round78 4.55 6.58
6.77      7.33      4.55      6.55      6.41
Seoul Summer 2022Final68 5.10 6.16
5.10      5.43      5.69      8.45      7.36
4x4x4 Cube
Seoul Winter 2024First round103 1:01.68 1:08.92
1:05.82   1:01.68   1:22.73   1:13.29   1:07.64
Korean Championship 2024First round91 57.23 1:11.42
1:08.39   57.23     1:20.49   1:08.37   1:17.49
Seoul Open 2024First round76 54.33 1:05.35
1:19.31   54.33     1:01.71   1:10.75   1:03.59
Korean Championship 2023First round71 56.48 1:13.46
1:32.10   1:12.05   1:06.85   1:21.48   56.48
WCA World Championship 2023First round571 55.75 1:09.72
1:05.84   1:21.24   55.75     1:02.07   1:28.91
Daegu Spring 2023First round67 1:20.70 1:23.06
1:33.14   1:26.16   1:20.80   1:22.21   1:20.70
KAIST Fall 2022First round57 1:01.85 1:10.92
1:13.44   1:01.85   1:32.06   1:10.32   1:08.99
5x5x5 Cube
Korean Championship 2024First round93 2:29.91
2:29.91   DNF
Korean Championship 2023First round63 2:22.25 2:39.04
2:40.54   2:37.11   2:22.25   2:39.47   2:51.36
Ansan Autumn 2023First round58 2:36.66 2:50.38
2:50.90   2:36.66   DNF       2:50.57   2:49.66
Daegu Spring 2023First round59 2:57.20 3:16.34
3:11.24   2:57.20   3:19.60   3:18.18   3:45.44
Korean Championship 2024First round50 11.44 15.01
12.00     DNF       15.18     17.84     11.44
Ansan Autumn 2023First round42 13.64 19.09
27.60     13.64     16.35     16.97     23.95
Korean Championship 2024First round45 1:44.82 1:50.87
1:44.82   1:59.94   1:49.34   1:48.17   1:55.11
Daegu Spring 2023Final31 1:59.01 2:09.87
2:04.38   1:59.01   2:21.69   2:03.55   2:52.29
Korean Championship 2024First round76 8.72 12.97
DNF       8.72      9.39      17.74     11.77
Korean Championship 2023First round51 8.88 10.98
9.05      8.88      11.96     12.21     11.94
Seoul Winter 2024
3x3x3 CubeFirst round121 14.80 16.97
15.99     20.28     14.80     19.11     15.80
2x2x2 CubeFirst round67 4.38 4.99
4.71      4.38      4.55      12.01     5.72
4x4x4 CubeFirst round103 1:01.68 1:08.92
1:05.82   1:01.68   1:22.73   1:13.29   1:07.64
Korean Championship 2024
3x3x3 CubeFirst round151 12.85 18.06
22.12     19.42     12.85     16.38     18.37
2x2x2 CubeFirst round101 4.78 5.87
4.93      7.86      4.78      8.99      4.83
4x4x4 CubeFirst round91 57.23 1:11.42
1:08.39   57.23     1:20.49   1:08.37   1:17.49
5x5x5 CubeFirst round93 2:29.91
2:29.91   DNF
ClockFirst round50 11.44 15.01
12.00     DNF       15.18     17.84     11.44
MegaminxFirst round45 1:44.82 1:50.87
1:44.82   1:59.94   1:49.34   1:48.17   1:55.11
PyraminxFirst round76 8.72 12.97
DNF       8.72      9.39      17.74     11.77
Prime Cubing Day Seoul 2024
2x2x2 CubeFirst round53 4.16 5.20
6.61      5.50      4.16      4.40      5.69
Seoul Open 2024
3x3x3 CubeSecond round114 15.27 16.48
16.39     16.80     22.19     16.24     15.27
First round113 15.33 17.18
15.33     15.43     18.34     17.76     19.04
4x4x4 CubeFirst round76 54.33 1:05.35
1:19.31   54.33     1:01.71   1:10.75   1:03.59
Korean Championship 2023
3x3x3 CubeFirst round96 14.31 14.90
16.35     14.36     15.55     14.78     14.31
2x2x2 CubeSecond round49 4.62 5.31
9.20      4.68      6.00      4.62      5.24
First round42 4.36 4.58
4.69      4.47      4.58      4.91      4.36
4x4x4 CubeFirst round71 56.48 1:13.46
1:32.10   1:12.05   1:06.85   1:21.48   56.48
5x5x5 CubeFirst round63 2:22.25 2:39.04
2:40.54   2:37.11   2:22.25   2:39.47   2:51.36
PyraminxFirst round51 8.88 10.98
9.05      8.88      11.96     12.21     11.94
Ansan Autumn 2023
2x2x2 CubeFirst round35 3.16 4.82
5.24      4.86      3.16      4.65      4.95
5x5x5 CubeFirst round58 2:36.66 2:50.38
2:50.90   2:36.66   DNF       2:50.57   2:49.66
ClockFirst round42 13.64 19.09
27.60     13.64     16.35     16.97     23.95
WCA World Championship 2023
3x3x3 CubeFirst round877 14.05 17.83
19.12     16.09     18.27     14.05     19.31
2x2x2 CubeFirst round586 5.10 6.44
5.24      5.58      8.49      5.10      9.78
4x4x4 CubeFirst round571 55.75 1:09.72
1:05.84   1:21.24   55.75     1:02.07   1:28.91
Seoul Spring 2023
3x3x3 CubeFirst round102 15.01 16.48
16.38     19.68     17.50     15.01     15.56
2x2x2 CubeFinal55 3.92 5.07
4.63      4.11      7.50      6.47      3.92
Daegu Spring 2023
4x4x4 CubeFirst round67 1:20.70 1:23.06
1:33.14   1:26.16   1:20.80   1:22.21   1:20.70
5x5x5 CubeFirst round59 2:57.20 3:16.34
3:11.24   2:57.20   3:19.60   3:18.18   3:45.44
MegaminxFinal31 1:59.01 2:09.87
2:04.38   1:59.01   2:21.69   2:03.55   2:52.29
KAIST Fall 2022
3x3x3 CubeFirst round81 16.02 19.35
19.12     16.02     20.06     18.88     23.35
4x4x4 CubeFirst round57 1:01.85 1:10.92
1:13.44   1:01.85   1:32.06   1:10.32   1:08.99
Daegu Hot Autumn 2022
3x3x3 CubeFirst round65 18.18 19.52
19.25     18.18     19.80     19.51     21.61
2x2x2 CubeFinal37 3.62 5.77
3.62      5.73      4.18      7.41      8.32
Korean Championship 2022
3x3x3 CubeFirst round122 19.92 22.81
19.92     28.33     22.56     24.52     21.36
2x2x2 CubeFirst round78 4.55 6.58
6.77      7.33      4.55      6.55      6.41
Seoul Summer 2022
3x3x3 CubeFirst round159 23.05 25.93
23.51     23.05     25.55     28.72     32.08
2x2x2 CubeFinal68 5.10 6.16
5.10      5.43      5.69      8.45      7.36
132024-12-14Seoul Winter 2024Republic of Korea서울특별시 (Seoul)
122024-08-15~17Korean Championship 2024Republic of Korea경기도 수원시 (Suwon-si, Gyeonggi-do)
112024-06-15Prime Cubing Day Seoul 2024Republic of Korea서울특별시 (Seoul)
102024-01-06Seoul Open 2024Republic of Korea서울특별시 (Seoul)
92023-12-15~17Korean Championship 2023Republic of Korea대전광역시 (Daejeon)
82023-09-24Ansan Autumn 2023Republic of Korea경기도 안산시 (Ansan-si, Gyeonggi-do)
72023-08-12~15WCA World Championship 2023Republic of Korea인천광역시 (Incheon)
62023-05-07Seoul Spring 2023Republic of Korea서울특별시 (Seoul)
52023-04-15~16Daegu Spring 2023Republic of Korea대구광역시 (Daegu)
42022-11-20KAIST Fall 2022Republic of Korea대전광역시 (Daejeon)
32022-09-17Daegu Hot Autumn 2022Republic of Korea대구광역시 (Daegu)
22022-08-12~14Korean Championship 2022Republic of Korea경기도 안양시 (Anyang-si, Gyeonggi-do)
12022-07-23~24Seoul Summer 2022Republic of Korea서울특별시 (Seoul)